## Entries
/*
1.
Molecular formula: C18H45N3O6V
Method: DFT, ωB97M-V/def2-TZVPD

Summary:
* largest force on an atom: 1.37 eV/Å
* Kohn-Sham gap: 6.854 eV
* energy above the lowest of the compared OMol25 structures with the same formula, charge and spin: 0.0 kJ/mol

Structure (ORCA input):
```
! wB97M-V def2-TZVPD RIJCOSX def2/J DEFGRID3
* xyz 1 1
O -12.556 -35.807 -17.172
V -11.958 -34.433 -17.660
O -12.961 -33.322 -17.171
C -18.706 -37.218 -16.308
C -18.497 -36.169 -15.205
C -18.622 -36.839 -13.831
C -17.436 -37.701 -13.450
C -16.183 -36.841 -13.523
C -15.973 -36.110 -14.859
N -17.223 -35.468 -15.256
O -17.062 -34.884 -16.550
C -14.926 -35.004 -14.619
C -15.416 -37.078 -15.909
C -19.608 -35.135 -15.310
H -18.148 -38.133 -16.104
H -18.414 -36.825 -17.279
H -19.760 -37.500 -16.331
H -18.715 -36.038 -13.086
H -19.551 -37.411 -13.794
H -17.359 -38.583 -14.090
H -17.563 -38.028 -12.418
H -15.256 -37.374 -13.299
H -16.280 -36.073 -12.744
H -13.986 -35.501 -14.374
H -14.782 -34.460 -15.554
H -15.289 -34.337 -13.840
H -15.135 -36.516 -16.802
H -14.520 -37.568 -15.530
H -16.154 -37.809 -16.226
H -19.403 -34.301 -14.633
H -20.562 -35.564 -15.002
H -19.715 -34.759 -16.329
H -17.157 -33.943 -16.379
C -15.486 -31.537 -17.433
O -16.705 -30.849 -17.638
H -15.004 -31.237 -16.502
H -15.619 -32.624 -17.482
H -14.833 -31.300 -18.276
H -17.384 -31.268 -17.103
C -8.117 -36.747 -16.926
C -9.452 -36.017 -16.791
C -9.326 -34.753 -15.988
O -10.636 -34.176 -15.837
C -10.721 -33.172 -14.835
N -10.019 -35.649 -18.130
H -8.274 -37.731 -17.366
H -7.617 -36.881 -15.968
H -7.445 -36.180 -17.577
H -10.203 -36.672 -16.350
H -8.643 -34.035 -16.463
H -8.932 -34.983 -14.995
H -11.743 -32.799 -14.831
H -10.091 -32.310 -15.089
H -10.447 -33.575 -13.863
H -10.131 -36.496 -18.689
H -9.263 -35.203 -18.664
C -12.327 -33.679 -22.012
C -11.835 -33.809 -20.567
C -11.443 -32.460 -20.019
O -10.904 -32.599 -18.695
C -10.267 -31.428 -18.239
N -12.855 -34.464 -19.685
H -13.183 -32.999 -22.042
H -12.617 -34.652 -22.403
H -11.567 -33.246 -22.661
H -10.937 -34.433 -20.529
H -12.269 -31.735 -20.003
H -10.680 -32.031 -20.679
H -9.827 -31.622 -17.263
H -10.981 -30.604 -18.152
H -9.452 -31.121 -18.903
H -13.027 -35.417 -19.988
H -13.729 -33.949 -19.752
*
```

2.
Molecular formula: C18H45N3O9
Method: DFT, ωB97M-V/def2-TZVPD

Summary:
* largest force on an atom: 5.01 eV/Å
* Kohn-Sham gap: 3.477 eV
* energy above the lowest of the compared OMol25 structures with the same formula, charge and spin: 654.6 kJ/mol

Structure (ORCA input):
```
! wB97M-V def2-TZVPD RIJCOSX def2/J DEFGRID3
* xyz 0 1
C -7.033 3.068 -5.846
C -5.671 2.186 -5.991
C -4.766 2.550 -4.745
O -5.356 2.197 -3.529
C -4.388 1.678 -2.700
N -6.072 0.661 -5.974
H -6.385 0.415 -5.046
H -6.900 0.541 -6.539
H -5.420 -0.045 -6.285
H -6.728 4.114 -5.819
H -7.538 2.834 -4.909
H -7.780 2.851 -6.610
H -5.254 2.313 -6.990
H -4.535 3.613 -4.684
H -3.840 2.074 -5.068
H -3.809 0.868 -3.144
H -4.788 1.364 -1.736
H -3.680 2.492 -2.544
C 0.603 -1.515 4.708
C -0.587 -0.682 4.180
C -1.838 -0.883 5.056
O -3.019 -0.179 4.697
C -3.559 -0.474 3.374
N -0.172 0.823 4.225
H -0.023 1.176 5.159
H 0.663 0.856 3.657
H -0.896 1.441 3.887
H 1.419 -1.678 4.004
H 0.151 -2.456 5.020
H 1.075 -1.072 5.584
H -0.764 -0.906 3.128
H -1.636 -0.590 6.086
H -2.064 -1.948 5.001
H -2.951 -0.145 2.531
H -4.494 0.070 3.244
H -3.861 -1.520 3.320
C 3.029 -4.325 -0.115
C 4.097 -3.911 -1.227
C 5.231 -3.242 -0.470
O 6.342 -3.032 -1.277
C 7.219 -2.020 -0.713
N 4.579 -5.171 -1.996
H 4.657 -6.055 -1.513
H 4.077 -5.342 -2.856
H 5.546 -5.013 -2.242
H 2.879 -3.546 0.633
H 3.273 -5.231 0.440
H 2.085 -4.518 -0.624
H 3.634 -3.234 -1.945
H 5.319 -3.866 0.419
H 4.688 -2.334 -0.207
H 6.785 -1.034 -0.878
H 8.191 -2.188 -1.175
H 7.344 -2.096 0.367
C 0.628 0.791 -1.056
C 0.711 0.382 -2.570
O 0.351 -0.790 -2.939
O 0.837 1.274 -3.450
H 0.409 1.858 -1.006
H 1.606 0.647 -0.597
H -0.195 0.209 -0.643
C 6.620 -0.797 4.466
C 5.471 0.226 4.347
O 5.285 1.013 5.314
O 4.716 0.331 3.411
H 6.658 -1.298 5.434
*/

## To do
The reader should duplicate only the last part of the data above, starting with the line that has "-13.863".

## Result
H -10.447 -33.575 -13.863
H -10.131 -36.496 -18.689
H -9.263 -35.203 -18.664
C -12.327 -33.679 -22.012
C -11.835 -33.809 -20.567
C -11.443 -32.460 -20.019
O -10.904 -32.599 -18.695
C -10.267 -31.428 -18.239
N -12.855 -34.464 -19.685
H -13.183 -32.999 -22.042
H -12.617 -34.652 -22.403
H -11.567 -33.246 -22.661
H -10.937 -34.433 -20.529
H -12.269 -31.735 -20.003
H -10.680 -32.031 -20.679
H -9.827 -31.622 -17.263
H -10.981 -30.604 -18.152
H -9.452 -31.121 -18.903
H -13.027 -35.417 -19.988
H -13.729 -33.949 -19.752
*
```

2.
Molecular formula: C18H45N3O9
Method: DFT, ωB97M-V/def2-TZVPD

Summary:
* largest force on an atom: 5.01 eV/Å
* Kohn-Sham gap: 3.477 eV
* energy above the lowest of the compared OMol25 structures with the same formula, charge and spin: 654.6 kJ/mol

Structure (ORCA input):
```
! wB97M-V def2-TZVPD RIJCOSX def2/J DEFGRID3
* xyz 0 1
C -7.033 3.068 -5.846
C -5.671 2.186 -5.991
C -4.766 2.550 -4.745
O -5.356 2.197 -3.529
C -4.388 1.678 -2.700
N -6.072 0.661 -5.974
H -6.385 0.415 -5.046
H -6.900 0.541 -6.539
H -5.420 -0.045 -6.285
H -6.728 4.114 -5.819
H -7.538 2.834 -4.909
H -7.780 2.851 -6.610
H -5.254 2.313 -6.990
H -4.535 3.613 -4.684
H -3.840 2.074 -5.068
H -3.809 0.868 -3.144
H -4.788 1.364 -1.736
H -3.680 2.492 -2.544
C 0.603 -1.515 4.708
C -0.587 -0.682 4.180
C -1.838 -0.883 5.056
O -3.019 -0.179 4.697
C -3.559 -0.474 3.374
N -0.172 0.823 4.225
H -0.023 1.176 5.159
H 0.663 0.856 3.657
H -0.896 1.441 3.887
H 1.419 -1.678 4.004
H 0.151 -2.456 5.020
H 1.075 -1.072 5.584
H -0.764 -0.906 3.128
H -1.636 -0.590 6.086
H -2.064 -1.948 5.001
H -2.951 -0.145 2.531
H -4.494 0.070 3.244
H -3.861 -1.520 3.320
C 3.029 -4.325 -0.115
C 4.097 -3.911 -1.227
C 5.231 -3.242 -0.470
O 6.342 -3.032 -1.277
C 7.219 -2.020 -0.713
N 4.579 -5.171 -1.996
H 4.657 -6.055 -1.513
H 4.077 -5.342 -2.856
H 5.546 -5.013 -2.242
H 2.879 -3.546 0.633
H 3.273 -5.231 0.440
H 2.085 -4.518 -0.624
H 3.634 -3.234 -1.945
H 5.319 -3.866 0.419
H 4.688 -2.334 -0.207
H 6.785 -1.034 -0.878
H 8.191 -2.188 -1.175
H 7.344 -2.096 0.367
C 0.628 0.791 -1.056
C 0.711 0.382 -2.570
O 0.351 -0.790 -2.939
O 0.837 1.274 -3.450
H 0.409 1.858 -1.006
H 1.606 0.647 -0.597
H -0.195 0.209 -0.643
C 6.620 -0.797 4.466
C 5.471 0.226 4.347
O 5.285 1.013 5.314
O 4.716 0.331 3.411
H 6.658 -1.298 5.434